Job >
Now echo the whole of the listing further below without additions.
Material >
No. 1
Below is a relaxed In2AgSe3I crystal, with properties calculated at the PBE level.

Output
Relative energy among the computed polymorphs = 27 meV/atom
Symmetry = No. 166

Cell lengths 8.2693, 8.2693, 8.2693 Å; angles 60.47, 60.47, 60.47 degrees
Fractional positions:
1 In 0.0000 0.0000 0.0000
2 In 0.0000 0.5000 0.0000
3 In 0.5000 0.0000 0.0000
4 In 0.0000 0.0000 0.5000
5 Ag 0.5849 0.5849 0.5849
6 Ag 0.4151 0.4151 0.4151
7 Se 0.2417 0.7906 0.2417
8 Se 0.7906 0.2417 0.2417
9 Se 0.2417 0.2417 0.7906
10 Se 0.7583 0.2094 0.7583
11 Se 0.2094 0.7583 0.7583
12 Se 0.7583 0.7583 0.2094
13 I 0.2643 0.2643 0.2643
14 I 0.7357 0.7357 0.7357

No. 2
Below is a relaxed DyCr3S6 crystal, with properties calculated at the PBE level.

Output
Relative energy among the computed polymorphs = 0 meV/atom
Symmetry = No. 31

Cell lengths 10.6954, 10.8499, 12.6521 Å; angles 90.00, 90.00, 90.00 degrees
Fractional positions:
1 Dy 0.0000 0.4895 0.1647
2 Dy 0.0000 0.9876 0.0002
3 Dy 0.1665 0.5171 0.6629
4 Dy 0.3335 0.4829 0.1629
5 Dy 0.5000 0.0124 0.5002
6 Dy 0.5000 0.5105 0.6647
7 Dy 0.6665 0.4829 0.1629
8 Dy 0.8335 0.5171 0.6629
9 Cr 0.0000 0.3319 0.4265
10 Cr 0.0000 0.8058 0.2238
11 Cr 0.0000 0.3019 0.9435
12 Cr 0.0000 0.8450 0.7363
13 Cr 0.1672 0.6649 0.9278
14 Cr 0.1639 0.1903 0.7127
15 Cr 0.1643 0.7082 0.4476
16 Cr 0.1645 0.1542 0.2391
17 Cr 0.3355 0.8458 0.7391
18 Cr 0.3357 0.2918 0.9476
19 Cr 0.3361 0.8097 0.2127
20 Cr 0.3328 0.3351 0.4278
21 Cr 0.5000 0.1550 0.2363
22 Cr 0.5000 0.1942 0.7238
23 Cr 0.5000 0.6681 0.9265
24 Cr 0.5000 0.6981 0.4435
25 Cr 0.6672 0.3351 0.4278
26 Cr 0.6639 0.8097 0.2127
27 Cr 0.6643 0.2918 0.9476
28 Cr 0.6645 0.8458 0.7391
29 Cr 0.8355 0.1542 0.2391
30 Cr 0.8357 0.7082 0.4476
31 Cr 0.8361 0.1903 0.7127
32 Cr 0.8328 0.6649 0.9278
33 S 0.0000 0.2115 0.1190
34 S 0.0000 0.1279 0.3622
35 S 0.0000 0.0533 0.6704
36 S 0.0000 0.7136 0.0447
37 S 0.0000 0.5540 0.4940
38 S 0.0000 0.3424 0.7573
39 S 0.0000 0.8416 0.4048
40 S 0.0000 0.6336 0.8003
41 S 0.1656 0.8707 0.8638
42 S 0.1660 0.2978 0.5462
43 S 0.1631 0.1620 0.9007
44 S 0.1672 0.7756 0.6240
45 S 0.1634 0.9458 0.1730
46 S 0.1655 0.3648 0.2987
47 S 0.1673 0.6561 0.2603
48 S 0.1649 0.4501 0.9964
49 S 0.3351 0.5499 0.4964
50 S 0.3327 0.3439 0.7603
51 S 0.3345 0.6352 0.7987
52 S 0.3366 0.0542 0.6730
53 S 0.3328 0.2244 0.1240
54 S 0.3369 0.8380 0.4007
55 S 0.3340 0.7022 0.0462
56 S 0.3344 0.1293 0.3638
57 S 0.5000 0.2864 0.5447
58 S 0.5000 0.6576 0.2573
59 S 0.5000 0.7885 0.6190
60 S 0.5000 0.1584 0.9048
61 S 0.5000 0.3664 0.3003
62 S 0.5000 0.4460 0.9940
63 S 0.5000 0.9467 0.1704
64 S 0.5000 0.8721 0.8622
65 S 0.6656 0.1293 0.3638
66 S 0.6660 0.7022 0.0462
67 S 0.6631 0.8380 0.4007
68 S 0.6672 0.2244 0.1240
69 S 0.6634 0.0542 0.6730
70 S 0.6655 0.6352 0.7987
71 S 0.6673 0.3439 0.7603
72 S 0.6649 0.5499 0.4964
73 S 0.8351 0.4501 0.9964
74 S 0.8327 0.6561 0.2603
75 S 0.8345 0.3648 0.2987
76 S 0.8366 0.9458 0.1730
77 S 0.8328 0.7756 0.6240
78 S 0.8369 0.1620 0.9007
79 S 0.8340 0.2978 0.5462
80 S 0.8344 0.8707 0.8638

No. 3
Below is a relaxed TaBeB crystal, with properties calculated at the PBE level.

Output
Symmetry = No. 187

Cell lengths 3.2607, 3.2607, 3.2622 Å; angles 90.00, 90.00, 120.00 degrees
Fractional positions:
1 Ta 0.0000 0.0000 0.0000
2 Be 0.3333 0.6667 0.5000
3 B 0.6666 0.3333 0.5000

Number 1: E -0.12236 Ha/atom, energy of formation -3.339 eV/f.u.. Number 2: E -0.25233 Ha/atom, energy of formation -13.297 eV/f.u.. Number 3: E -0.29778 Ha/atom, energy of formation -2.032 eV/f.u..


# 1
# HoSnPd2 PBE optimized geometry
# crystal system	cubic
# formation energy from the elements	-0.885	eV per atom
data_HoSnPd2
_symmetry_space_group_name_H-M 'F m -3 m'
_symmetry_Int_Tables_number 225
_symmetry_space_group_name_Hall '-F 4 2 3'
_cell_length_a 6.7836
_cell_length_b 6.7836
_cell_length_c 6.7836
_cell_angle_alpha 90.00
_cell_angle_beta 90.00
_cell_angle_gamma 90.00
loop_
_atom_site_label
_atom_site_type_symbol
_atom_site_fract_x
_atom_site_fract_y
_atom_site_fract_z
Written answer >
No. 1
Below is a relaxed In2AgSe3I crystal, with properties calculated at the PBE level.

Output
Relative energy among the computed polymorphs = 27 meV/atom
Symmetry = No. 166

Cell lengths 8.2693, 8.2693, 8.2693 Å; angles 60.47, 60.47, 60.47 degrees
Fractional positions:
1 In 0.0000 0.0000 0.0000
2 In 0.0000 0.5000 0.0000
3 In 0.5000 0.0000 0.0000
4 In 0.0000 0.0000 0.5000
5 Ag 0.5849 0.5849 0.5849
6 Ag 0.4151 0.4151 0.4151
7 Se 0.2417 0.7906 0.2417
8 Se 0.7906 0.2417 0.2417
9 Se 0.2417 0.2417 0.7906
10 Se 0.7583 0.2094 0.7583
11 Se 0.2094 0.7583 0.7583
12 Se 0.7583 0.7583 0.2094
13 I 0.2643 0.2643 0.2643
14 I 0.7357 0.7357 0.7357

No. 2
Below is a relaxed DyCr3S6 crystal, with properties calculated at the PBE level.

Output
Relative energy among the computed polymorphs = 0 meV/atom
Symmetry = No. 31

Cell lengths 10.6954, 10.8499, 12.6521 Å; angles 90.00, 90.00, 90.00 degrees
Fractional positions:
1 Dy 0.0000 0.4895 0.1647
2 Dy 0.0000 0.9876 0.0002
3 Dy 0.1665 0.5171 0.6629
4 Dy 0.3335 0.4829 0.1629
5 Dy 0.5000 0.0124 0.5002
6 Dy 0.5000 0.5105 0.6647
7 Dy 0.6665 0.4829 0.1629
8 Dy 0.8335 0.5171 0.6629
9 Cr 0.0000 0.3319 0.4265
10 Cr 0.0000 0.8058 0.2238
11 Cr 0.0000 0.3019 0.9435
12 Cr 0.0000 0.8450 0.7363
13 Cr 0.1672 0.6649 0.9278
14 Cr 0.1639 0.1903 0.7127
15 Cr 0.1643 0.7082 0.4476
16 Cr 0.1645 0.1542 0.2391
17 Cr 0.3355 0.8458 0.7391
18 Cr 0.3357 0.2918 0.9476
19 Cr 0.3361 0.8097 0.2127
20 Cr 0.3328 0.3351 0.4278
21 Cr 0.5000 0.1550 0.2363
22 Cr 0.5000 0.1942 0.7238
23 Cr 0.5000 0.6681 0.9265
24 Cr 0.5000 0.6981 0.4435
25 Cr 0.6672 0.3351 0.4278
26 Cr 0.6639 0.8097 0.2127
27 Cr 0.6643 0.2918 0.9476
28 Cr 0.6645 0.8458 0.7391
29 Cr 0.8355 0.1542 0.2391
30 Cr 0.8357 0.7082 0.4476
31 Cr 0.8361 0.1903 0.7127
32 Cr 0.8328 0.6649 0.9278
33 S 0.0000 0.2115 0.1190
34 S 0.0000 0.1279 0.3622
35 S 0.0000 0.0533 0.6704
36 S 0.0000 0.7136 0.0447
37 S 0.0000 0.5540 0.4940
38 S 0.0000 0.3424 0.7573
39 S 0.0000 0.8416 0.4048
40 S 0.0000 0.6336 0.8003
41 S 0.1656 0.8707 0.8638
42 S 0.1660 0.2978 0.5462
43 S 0.1631 0.1620 0.9007
44 S 0.1672 0.7756 0.6240
45 S 0.1634 0.9458 0.1730
46 S 0.1655 0.3648 0.2987
47 S 0.1673 0.6561 0.2603
48 S 0.1649 0.4501 0.9964
49 S 0.3351 0.5499 0.4964
50 S 0.3327 0.3439 0.7603
51 S 0.3345 0.6352 0.7987
52 S 0.3366 0.0542 0.6730
53 S 0.3328 0.2244 0.1240
54 S 0.3369 0.8380 0.4007
55 S 0.3340 0.7022 0.0462
56 S 0.3344 0.1293 0.3638
57 S 0.5000 0.2864 0.5447
58 S 0.5000 0.6576 0.2573
59 S 0.5000 0.7885 0.6190
60 S 0.5000 0.1584 0.9048
61 S 0.5000 0.3664 0.3003
62 S 0.5000 0.4460 0.9940
63 S 0.5000 0.9467 0.1704
64 S 0.5000 0.8721 0.8622
65 S 0.6656 0.1293 0.3638
66 S 0.6660 0.7022 0.0462
67 S 0.6631 0.8380 0.4007
68 S 0.6672 0.2244 0.1240
69 S 0.6634 0.0542 0.6730
70 S 0.6655 0.6352 0.7987
71 S 0.6673 0.3439 0.7603
72 S 0.6649 0.5499 0.4964
73 S 0.8351 0.4501 0.9964
74 S 0.8327 0.6561 0.2603
75 S 0.8345 0.3648 0.2987
76 S 0.8366 0.9458 0.1730
77 S 0.8328 0.7756 0.6240
78 S 0.8369 0.1620 0.9007
79 S 0.8340 0.2978 0.5462
80 S 0.8344 0.8707 0.8638

No. 3
Below is a relaxed TaBeB crystal, with properties calculated at the PBE level.

Output
Symmetry = No. 187

Cell lengths 3.2607, 3.2607, 3.2622 Å; angles 90.00, 90.00, 120.00 degrees
Fractional positions:
1 Ta 0.0000 0.0000 0.0000
2 Be 0.3333 0.6667 0.5000
3 B 0.6666 0.3333 0.5000

Number 1: E -0.12236 Ha/atom, energy of formation -3.339 eV/f.u.. Number 2: E -0.25233 Ha/atom, energy of formation -13.297 eV/f.u.. Number 3: E -0.29778 Ha/atom, energy of formation -2.032 eV/f.u..


# 1
# HoSnPd2 PBE optimized geometry
# crystal system	cubic
# formation energy from the elements	-0.885	eV per atom
data_HoSnPd2
_symmetry_space_group_name_H-M 'F m -3 m'
_symmetry_Int_Tables_number 225
_symmetry_space_group_name_Hall '-F 4 2 3'
_cell_length_a 6.7836
_cell_length_b 6.7836
_cell_length_c 6.7836
_cell_angle_alpha 90.00
_cell_angle_beta 90.00
_cell_angle_gamma 90.00
loop_
_atom_site_label
_atom_site_type_symbol
_atom_site_fract_x
_atom_site_fract_y
_atom_site_fract_z